**Excerpt:**
~~~
C76H117N9O27 | wB97M-V/def2-TZVPD

Output
LUMO level	0.51	eV
HOMO energy	-7.90	eV

Last column: Mulliken charge in e.
Element x y z (Å)
N  -4.1109  -0.2238  -1.1773  1.644
C  -4.1347  1.0000  -0.5546  -0.095
C  -5.4265  1.5117  -0.4412  -0.159
C  -6.2302  0.5078  -1.0659  -1.400
C  -5.4255  -0.5367  -1.4860  -0.652
H  -3.2803  -0.7400  -1.3958  -0.396
H  -3.2220  1.3988  -0.1291  -0.209
H  -5.5796  2.4342  0.1080  0.519
H  -7.3093  0.5226  -1.1473  0.443
H  -5.6784  -1.3862  -2.1282  0.434
N  1.5374  -6.1748  1.4296  0.721
C  0.2754  -6.5301  1.7901  -0.412
C  0.1541  -6.5687  3.1775  -0.934
C  1.4219  -6.0994  3.6487  -0.623
C  2.2049  -5.9650  2.5304  -0.604
H  1.9821  -6.3283  0.5457  0.023
H  -0.4379  -6.7181  0.9748  0.508
H  -0.6663  -7.0319  3.7128  0.512
H  1.6466  -5.8434  4.6674  0.547
H  3.1665  -5.4357  2.5204  0.431
N  2.3420  3.1682  -4.7841  0.119
C  3.0912  3.2882  -3.6233  -1.522
C  2.1604  3.2540  -2.5792  0.219
C  0.8898  3.1693  -3.1955  0.099
C  1.0414  3.0377  -4.5197  -1.115
H  2.7312  3.2026  -5.6852  0.239
H  4.1483  3.5455  -3.6439  0.420
H  2.3466  3.3612  -1.5185  0.820
H  -0.0381  2.8740  -2.6580  0.106
H  0.2205  3.0015  -5.2357  0.617
N  2.2815  3.8021  6.2884  0.014
C  1.0970  3.3905  6.8355  -1.550
C  0.1985  3.5385  5.8148  -0.779
C  0.8632  3.9918  4.6561  0.296
C  2.1786  4.1492  4.9867  -1.033
H  3.1454  3.6183  6.7663  0.293
H  0.9825  3.0403  7.8712  0.541
H  -0.8533  3.3133  5.8029  1.137
H  0.6544  4.2107  3.6062  0.457
H  2.9881  4.5223  4.3786  0.518
N  1.2116  7.2450  2.8424  0.187
C  0.2046  6.9004  1.9929  -0.499
C  0.1770  7.7435  0.8958  -0.552
C  1.2870  8.6065  1.0849  -0.691
C  1.9316  8.2384  2.2737  -0.749
H  1.4611  6.8432  3.7362  0.239
H  -0.6004  6.1875  2.2216  0.696
H  -0.6316  7.7267  0.1497  0.472
H  1.5842  9.3843  0.4478  0.480
H  2.8672  8.5744  2.6868  0.417
C  -0.8469  2.2259  -9.6686  -0.967
C  0.1292  2.6933  -8.6058  -0.610
O  0.1547  1.6698  -7.5685  -0.011
C  1.3714  1.1458  -7.2506  0.231
O  2.4216  1.5530  -7.6659  -0.667
O  1.1441  0.1969  -6.3917  0.228
C  2.3038  -0.3987  -5.7816  -1.197
H  -0.6085  2.7420  -10.6463  0.336
H  -1.9303  2.4852  -9.5558  0.271
H  -0.7287  1.1155  -9.8223  0.197
H  -0.0774  3.6675  -8.1787  0.362
H  1.1056  2.8038  -9.0222  0.490
H  2.9245  -0.9545  -6.4444  0.467
H  1.8975  -0.8794  -4.8610  0.096
H  2.9674  0.4062  -5.5281  0.611
C  6.3478  -3.8993  -0.8264  -0.789
C  6.8279  -2.8539  -1.7527  -0.294
O  5.7726  -2.6113  -2.6765  -0.308
C  4.8123  -1.6800  -2.6285  0.595
O  3.9847  -1.6146  -3.5142  -0.229
O  4.8731  -0.7995  -1.5877  -0.376
C  3.7778  0.1472  -1.5789  0.493
H  5.4298  -3.5738  -0.3026  -0.023
H  7.0974  -3.9608  -0.0493  0.454
H  6.2920  -4.8485  -1.3107  0.308
H  7.7200  -3.1451  -2.2879  0.337
H  7.0521  -1.9237  -1.1390  0.251
H  3.1707  0.1045  -2.4176  -0.096
H  4.1649  1.1585  -1.3584  0.128
H  3.1036  -0.1580  -0.7615  -0.318
C  -6.3234  5.3399  3.2227  -1.501
C  -4.8313  5.2931  2.9208  0.398
O  -4.6159  4.7557  1.6419  -0.408
C  -3.3497  4.4850  1.2951  0.624
O  -2.4119  4.5637  2.0684  -0.102
O  -3.2373  4.2279  -0.0065  -0.410
C  -1.9151  4.2082  -0.5183  0.146
H  -6.7285  4.3018  3.2932  0.280
H  -6.8685  5.7103  2.3656  0.442
H  -6.5381  5.9124  4.1158  0.399
H  -4.3123  4.6090  3.6116  -0.239
H  -4.2897  6.2156  2.8542  0.431
H  -1.8653  3.7280  -1.4889  0.110
H  -1.3643  3.6431  0.1883  -0.398
H  -1.4799  5.1962  -0.5650  0.403
C  -2.6266  5.7051  6.3886  -0.836
C  -3.4258  4.5500  7.0055  -0.644
O  -3.4195  3.4563  6.1366  0.145
C  -3.6992  2.2984  6.7760  0.454
O  -3.8303  2.2518  7.9882  -0.645
O  -3.8927  1.3050  5.9479  0.092
C  -4.3372  0.0369  6.4712  -0.574
H  -2.7458  6.5534  7.0751  0.454
H  -3.1815  6.0309  5.5252  0.143
H  -1.5526  5.4002  6.2212  0.133
H  -4.4474  4.8123  7.2769  0.441
H  -2.9363  4.2281  7.9208  0.373
H  -4.3767  -0.6139  5.6588  0.089
H  -5.3669  0.2097  6.9405  0.268
H  -3.6749  -0.4058  7.2346  0.284
C  -1.0149  -3.3213  5.3687  -0.982
~~~
**Exercise:**
It remains to find the line above that holds "2.2815", then give back that line and all lines after it there.
**Written answer:**
N  2.2815  3.8021  6.2884  0.014
C  1.0970  3.3905  6.8355  -1.550
C  0.1985  3.5385  5.8148  -0.779
C  0.8632  3.9918  4.6561  0.296
C  2.1786  4.1492  4.9867  -1.033
H  3.1454  3.6183  6.7663  0.293
H  0.9825  3.0403  7.8712  0.541
H  -0.8533  3.3133  5.8029  1.137
H  0.6544  4.2107  3.6062  0.457
H  2.9881  4.5223  4.3786  0.518
N  1.2116  7.2450  2.8424  0.187
C  0.2046  6.9004  1.9929  -0.499
C  0.1770  7.7435  0.8958  -0.552
C  1.2870  8.6065  1.0849  -0.691
C  1.9316  8.2384  2.2737  -0.749
H  1.4611  6.8432  3.7362  0.239
H  -0.6004  6.1875  2.2216  0.696
H  -0.6316  7.7267  0.1497  0.472
H  1.5842  9.3843  0.4478  0.480
H  2.8672  8.5744  2.6868  0.417
C  -0.8469  2.2259  -9.6686  -0.967
C  0.1292  2.6933  -8.6058  -0.610
O  0.1547  1.6698  -7.5685  -0.011
C  1.3714  1.1458  -7.2506  0.231
O  2.4216  1.5530  -7.6659  -0.667
O  1.1441  0.1969  -6.3917  0.228
C  2.3038  -0.3987  -5.7816  -1.197
H  -0.6085  2.7420  -10.6463  0.336
H  -1.9303  2.4852  -9.5558  0.271
H  -0.7287  1.1155  -9.8223  0.197
H  -0.0774  3.6675  -8.1787  0.362
H  1.1056  2.8038  -9.0222  0.490
H  2.9245  -0.9545  -6.4444  0.467
H  1.8975  -0.8794  -4.8610  0.096
H  2.9674  0.4062  -5.5281  0.611
C  6.3478  -3.8993  -0.8264  -0.789
C  6.8279  -2.8539  -1.7527  -0.294
O  5.7726  -2.6113  -2.6765  -0.308
C  4.8123  -1.6800  -2.6285  0.595
O  3.9847  -1.6146  -3.5142  -0.229
O  4.8731  -0.7995  -1.5877  -0.376
C  3.7778  0.1472  -1.5789  0.493
H  5.4298  -3.5738  -0.3026  -0.023
H  7.0974  -3.9608  -0.0493  0.454
H  6.2920  -4.8485  -1.3107  0.308
H  7.7200  -3.1451  -2.2879  0.337
H  7.0521  -1.9237  -1.1390  0.251
H  3.1707  0.1045  -2.4176  -0.096
H  4.1649  1.1585  -1.3584  0.128
H  3.1036  -0.1580  -0.7615  -0.318
C  -6.3234  5.3399  3.2227  -1.501
C  -4.8313  5.2931  2.9208  0.398
O  -4.6159  4.7557  1.6419  -0.408
C  -3.3497  4.4850  1.2951  0.624
O  -2.4119  4.5637  2.0684  -0.102
O  -3.2373  4.2279  -0.0065  -0.410
C  -1.9151  4.2082  -0.5183  0.146
H  -6.7285  4.3018  3.2932  0.280
H  -6.8685  5.7103  2.3656  0.442
H  -6.5381  5.9124  4.1158  0.399
H  -4.3123  4.6090  3.6116  -0.239
H  -4.2897  6.2156  2.8542  0.431
H  -1.8653  3.7280  -1.4889  0.110
H  -1.3643  3.6431  0.1883  -0.398
H  -1.4799  5.1962  -0.5650  0.403
C  -2.6266  5.7051  6.3886  -0.836
C  -3.4258  4.5500  7.0055  -0.644
O  -3.4195  3.4563  6.1366  0.145
C  -3.6992  2.2984  6.7760  0.454
O  -3.8303  2.2518  7.9882  -0.645
O  -3.8927  1.3050  5.9479  0.092
C  -4.3372  0.0369  6.4712  -0.574
H  -2.7458  6.5534  7.0751  0.454
H  -3.1815  6.0309  5.5252  0.143
H  -1.5526  5.4002  6.2212  0.133
H  -4.4474  4.8123  7.2769  0.441
H  -2.9363  4.2281  7.9208  0.373
H  -4.3767  -0.6139  5.6588  0.089
H  -5.3669  0.2097  6.9405  0.268
H  -3.6749  -0.4058  7.2346  0.284
C  -1.0149  -3.3213  5.3687  -0.982